Showing posts with label beginning. Show all posts
Showing posts with label beginning. Show all posts

Sunday, August 10, 2014

One Week

Well, I'm finally reaching the end of my journey with my first book, "The Truth About Life: Life Lessons from Rock Bottom." It's taken a very long time, several years, in fact, to reach this point. But I'm getting closer to getting finished with my final editing. I'm editing it myself, so I'm sure it won't be perfect, but I do feel like it's a good start, so maybe my next book will be even better.

I have some editing to finish and then I need to finish my conclusion and the final section about myself. I'm not really absolutely certain on this, but I'm thinking I should have it all finished within a week or less. I'm seeing the end in sight and I'm starting to get excited, although I'm definitely very nervous! This book has been a labor of love, a large time investment (as I could find it!) and I am nervous about throwing it out there for others to see and read!

I suppose that most authors feel that way about their books. I guess it's kind of like trying to share a peculiar idea or theory with a group of people and knowing that they may laugh at your idea or think your idea to be crazy. I guess that is one blessing of self-publishing through Amazon, because I can always go back and update it or modify it, if I should feel the need to do so.

While I'm certain that the book is something that will be useful to SOMEONE out there, I'm just not so certain about the number of people who will find it useful or worth reading. I am considering this to be very much like the dream one has about standing in front of a room full of people, only to find themselves naked. Writing a blog is one thing. But a book seems even more personal to me. And I really do feel as though there's a part of one that actually is laid bare before others when they write something.

So, I think it should be done in a week. And here's to hoping I won't wake up and find myself naked and being laughed at in front of a large group of people!

Saturday, January 11, 2014

Confusion of the Heart

I don't know about the rest of you, but I know that I get awfully confused whenever I am in a relationship and things aren't going so smoothly. My most recent relationship has been an on-again, off-again roller coaster for almost three years. I know "G" and I love each other, I know we could work things out if we were both willing to try to compromise and really work at it.

But, sometimes it really is and ISN'T that simple. I think "G" and I are back "on" again at this point. I'm hoping, with a little bit of time and some effort, that we can really make a "go" of things this time. I know that my mind is saying that, logically, this shouldn't and couldn't possibly work. My heart, however, says that it can and that it just might this time. You just simply never know what direction things will go. Which is where my confusion lies.

So what do you do when one is confused about matters of the heart? The best suggestion that I can make for myself - or anyone else - is to simply take things one day at a time, one step at a time. Don't think negatively and don't expect too much of yourself or the other person - that type of expectation demands that someone be perfect. If you yourself are not perfect, how can you expect or demand perfection from your significant other?

When it comes to relationship - complicated or not - it's best to simply give you and your partner both room to grow, assess things, know what you and he/she wants and if there is doubt, give it time and don't place pressure on yourself or the other person. Somehow, I think that "G" and I are gonna be okay, whether we manage to work things out or not.

Hopefully, this new year is bringing you love - in the right way - and all of the happiness you and your significant other can handle! Living in light and love, for 2014!

Saturday, January 4, 2014

A Life, Interrupted.

Have you ever felt like an event in your life has so totally derailed things that your life has actually been interrupted and basically suspended, indefinitely? I have had this occur a few times in my life and have discovered something - I don't care for it much at all. I think that sometimes, these interruptions, so to speak, can be external events, internal events, relationships beginning or ending or just about anything that causes emotional trauma.

So what does one do, when they are living a life interrupted? The first thing to do is to realize that your circumstances do not define who you are. Relationships do not define who you are. Events in your past or present do not define who you are as a person. You can live your life despite your past or even present, as long as you remember that this interruption, or suspension, is never permanent. As long as you do not allow the interruption to paralyze you into inaction, you can, indeed, pick up and move through life again.

A life interrupted is difficult. Sometimes we are waiting on a certain event or waiting on circumstances to change, before we are able to begin picking up pieces and continue moving on. This is difficult to do - waiting is often a stressful task and it can seem to drag on forever. So, while you're waiting, find something positive and productive to focus on and do. For some of us, this can mean writing a blog, keeping a journal to track progress or feelings, learn a new hobby or skill or volunteer to help others.

Any positive changes in your life are steps you are taking to end the interruption that has occurred. Meet each obstacle head-on and keep moving, even when it feels as though your progress has been slowed or come to a halt. You might eventually come to realize that even when you thought things were stopped, you actually moved forward without realizing it. And meeting a negative event or emotion in your life with a positive and determined attitude will cancel out the negativity and open up your options, clear your mind and heal your heart.

Here's to living an uninterrupted and positive 2014!

Wednesday, January 1, 2014

Welcome, 2014!!!

[Unrelated to this page: calculated crystals]
1.
Simulated X-ray diffraction stick pattern
Compound: Pr3Mn4Sn4
Radiation: copper Kα
Structure: the GGA-PBE geometry in Alexandria
No peak broadening, texture or thermal motion is included.

Atomic structure:
```
Pr3Mn4Sn4
1.0
-2.318 3.701 7.612
2.318 -3.701 7.612
2.318 3.701 -7.612
Pr Mn Sn
3 4 4
direct
0.000 0.000 0.000 Pr
0.372 0.872 0.500 Pr
0.628 0.128 0.500 Pr
0.013 0.327 0.687 Mn
0.360 0.673 0.687 Mn
0.640 0.327 0.313 Mn
0.987 0.673 0.313 Mn
0.216 0.216 0.000 Sn
0.300 0.500 0.800 Sn
0.700 0.500 0.200 Sn
0.784 0.784 0.000 Sn
```

Principal peaks in the range 10 to 90 degrees two-theta, sorted by position:
2θ 31.48, d 2.842, rel. 100
2θ 31.78, d 2.816, rel. 30
2θ 32.76, d 2.734, rel. 98
2θ 38.84, d 2.318, rel. 42
2θ 40.66, d 2.219, rel. 21
2θ 43.17, d 2.096, rel. 39
2θ 51.03, d 1.790, rel. 16
2θ 57.49, d 1.603, rel. 15
2θ 65.77, d 1.420, rel. 18
2θ 71.32, d 1.322, rel. 18

2.
Simulated X-ray diffraction stick pattern
Compound: BaCuO4
Radiation: copper Kα
Structure: the GGA-PBE geometry in Alexandria
No peak broadening, texture or thermal motion is included.

Atomic structure:
```
BaCuO4
1.0
4.814 0.000 0.000
0.228 6.090 0.000
0.049 1.438 6.227
Ba Cu O
2 2 8
direct
0.239 0.071 0.226 Ba
0.761 0.929 0.774 Ba
0.184 0.396 0.658 Cu
0.816 0.604 0.342 Cu
0.076 0.689 0.522 O
0.256 0.107 0.797 O
0.322 0.613 0.090 O
0.486 0.517 0.794 O
0.514 0.483 0.206 O
0.678 0.387 0.910 O
0.744 0.893 0.203 O
0.924 0.311 0.478 O
```

Principal peaks in the range 10 to 90 degrees two-theta, sorted by position:
2θ 23.38, d 3.806, rel. 69
2θ 26.40, d 3.376, rel. 74
2θ 28.67, d 3.113, rel. 55
2θ 29.22, d 3.056, rel. 100
2θ 29.93, d 2.985, rel. 33
2θ 34.31, d 2.614, rel. 28
2θ 35.10, d 2.556, rel. 58
2θ 36.34, d 2.472, rel. 43
2θ 37.39, d 2.405, rel. 34
2θ 47.74, d 1.905, rel. 61

3.
Simulated X-ray diffraction stick pattern
Compound: TbGa4Cu2Os
Radiation: copper Kα
Structure: the GGA-PBE geometry in Alexandria
No peak broadening, texture or thermal motion is included.

Atomic structure:
```
TbGa4Cu2Os
1.0
2.091 1.207 8.911
-2.091 1.207 8.911
0.000 -2.414 8.911
Tb Ga Cu Os
1 4 2 1
direct
0.000 0.000 0.000 Tb
0.131 0.131 0.131 Ga
0.400 0.400 0.400 Ga
0.600 0.600 0.600 Ga
0.869 0.869 0.869 Ga
0.235 0.235 0.235 Cu
0.765 0.765 0.765 Cu
0.500 0.500 0.500 Os
```

Principal peaks in the range 10 to 90 degrees two-theta, sorted by position:
2θ 25.48, d 3.495, rel. 38
2θ 28.02, d 3.184, rel. 22
2θ 36.59, d 2.456, rel. 100
2θ 42.01, d 2.151, rel. 22
2θ 43.27, d 2.091, rel. 95
2θ 44.92, d 2.018, rel. 23
2θ 57.92, d 1.592, rel. 26
2θ 60.75, d 1.525, rel. 12
2θ 74.98, d 1.267, rel. 24
2θ 79.38, d 1.207, rel. 15

4.
Simulated X-ray diffraction stick pattern
Compound: K2MnTe4As
Radiation: copper Kα
Structure: the GGA-PBE geometry in Alexandria
No peak broadening, texture or thermal motion is included.

Atomic structure:
```
K2MnTe4As
1.0
-4.443 4.519 6.305
4.443 -4.519 6.305
4.443 4.519 -6.305
K Mn Te As
4 2 8 2
direct
0.000 0.000 0.000 K
0.500 0.000 0.000 K
0.500 0.000 0.500 K

Well, out with the old, in with the new. Another new year begins. With it, the hope that this year will be better than the last. Welcome, my new friend, 2014. I don't know about the rest of you, but I'm VERY excited to start a new year. To me, each new DAY is another chance to get life right. Life isn't easy, we struggle through daily and each of us much find our own path and make the choices that are right for us.

I know I am not perfect, my life isn't perfect. If I were completely honest, I feel like I fail at life and doing the things I need to do a large portion of the time. I know that sounds like a "downer," but it's simply honesty. And I think if most people were more honest, we'd all be more willing to admit that we are flawed and imperfect, that we struggle with SOMETHING on a day to day basis. What does all of this have to do with the New Year?

Well, this year, I am hoping to find the sense of balance and find my organizational skills, both things that I feel have eluded me all of my life. I am going to focus more on living in the here and now, while also making changes one tiny step at a time, to keep myself and my children on track, and I am going to go after the things I want for myself and my children.

So, welcome to 2014. Come on in, 2014, you are welcome here, because this is a new day, week, month and year. This is the first day of the rest of my life and I'm going to get this right, one way or another.
To all of you out there struggling, feeling lost, you are not alone. Most of us, if we're honest, feel that way at times, keep jumping right back in and make your life your own. Now is the time. Get started. A new year, a new beginning!

Tuesday, July 30, 2013

On Living in a Vacuum

So it had occurred to me that for most of my adult life, I've been living in a vacuum. I didn't see the entire big picture of things, which made decision-making a little easier than it should have been. In some cases, I really and truly made no conscious decision.

For many years, I lacked a sense of self-awareness and lacked any real self-esteem. Which led me to the place I am now. For the most part, although it wasn't a conscious decision on my part, I simply allowed things to happen around me. I allowed others to make decisions for me.

== Attached: materials data ==
# NpCoAg2O6
Computed X-ray diffraction stick pattern, a wavelength of 1.5418 Å. Input: a crystal structure in Alexandria, relaxed with PBE+U.

Crystal structure
Cell lengths 6.196, 6.196, 4.998 Å; angles 112.51, 112.51, 53.45 degrees
Element x y z (fractional)
Np 0.000 0.000 0.000
Co 0.500 0.500 0.500
Ag 0.266 0.266 0.813
Ag 0.734 0.734 0.187
O 0.172 0.172 0.315
O 0.200 0.661 0.206
O 0.339 0.800 0.794
O 0.661 0.200 0.206
O 0.800 0.339 0.794
O 0.828 0.828 0.685

Peak list (10 most intense, 5 to 70 degrees two-theta, in order of rising 2θ)
2θ 18.22, d = 4.868 Å, I = 27
2θ 19.66, d = 4.515 Å, I = 33
2θ 29.66, d = 3.012 Å, I = 74
2θ 30.21, d = 2.958 Å, I = 100
2θ 32.12, d = 2.787 Å, I = 35
2θ 35.93, d = 2.499 Å, I = 43
2θ 48.96, d = 1.861 Å, I = 49
2θ 55.74, d = 1.649 Å, I = 17
2θ 60.45, d = 1.531 Å, I = 17
2θ 61.40, d = 1.510 Å, I = 23

* * * * *

MgTe4Mo4S4: theoretical X-ray powder pattern (λ = 1.5418 Å (Cu Kα)), based on the GGA-PBE geometry in the Materials Project.
Neutral-atom scattering factors, no anomalous dispersion.

Top 8 peaks for 2θ from 10° to 80°, by angle:
| 2θ/deg | I_rel | h k l |
| --- | --- | --- |
| 11.79 | 37 | 0 0 6 |
| 30.75 | 68 | 2 0 0 |
| 32.33 | 25 | 1 1 -5 |
| 34.70 | 79 | 2 0 8 |
| 36.77 | 23 | 2 0 10 |
| 37.93 | 45 | 1 1 11 |
| 40.48 | 100 | 1 1 13 |
| 54.63 | 37 | 3 1 0 |

Structural model:
```
data_MgTe4Mo4S4
_cell_length_a 5.820
_cell_length_b 3.360
_cell_length_c 45.042
_cell_angle_alpha 90.00
_cell_angle_beta 90.01
_cell_angle_gamma 90.00
_symmetry_space_group_name_H-M 'C 1 m 1'
_symmetry_Int_Tables_number 8
_symmetry_space_group_name_Hall 'C -2y'
loop_
_atom_site_label
_atom_site_fract_x
_atom_site_fract_y
_atom_site_fract_z
_atom_site_occupancy
Mg1 0.000 0.000 0.000 1
Te1 0.166 0.500 0.847 1
Te2 0.166 0.500 0.931 1
Te3 0.333 0.000 0.417 1
Te4 0.333 0.000 0.501 1
Mo1 0.166 0.500 0.091 1
Mo2 0.166 0.500 0.459 1
Mo3 0.333 0.000 0.272 1
Mo4 0.333 0.000 0.889 1
S1 0.166 0.500 0.238 1
S2 0.166 0.500 0.305 1
S3 0.332 0.000 0.056 1
S4 0.333 0.000 0.124 1
```

---

Hf2FeIr: theoretical X-ray powder pattern (λ = 1.5418 Å (Cu Kα)), based on the GGA-PBE geometry in the Materials Project.
Neutral-atom scattering factors, no anomalous dispersion.

Top 8 peaks for 2θ from 10° to 80°, by angle:
| 2θ/deg | I_rel | h k l |
| --- | --- | --- |
| 23.85 | 11 | 1 1 1 |
| 27.61 | 4 | 2 0 0 |
| 39.45 | 100 | 2 2 0 |
| 46.62 | 6 | 3 1 1 |
| 57.01 | 17 | 4 0 0 |
| 62.67 | 3 | 3 3 1 |
| 71.54 | 35 | 4 2 2 |
| 76.63 | 2 | 5 1 1 |

Structural model:
```
data_Hf2FeIr
_cell_length_a 6.461
_cell_length_b 6.461
_cell_length_c 6.461
_cell_angle_alpha 90.00
_cell_angle_beta 90.00
_cell_angle_gamma 90.00
_symmetry_space_group_name_H-M 'F m -3 m'
_symmetry_Int_Tables_number 225
_symmetry_space_group_name_Hall '-F 4 2 3'
loop_
_atom_site_label
_atom_site_fract_x
_atom_site_fract_y
_atom_site_fract_z
_atom_site_occupancy
Hf1 0.250 0.250 0.250 1
Fe1 0.000 0.000 0.000 1
Ir1 0.000 0.000 0.500 1
```

---

I have been living in a vacuum and having no real sense of time or sense of urgency concerning much of anything in my life. I hid behind spouses and children and used being a wife and mother or being a mother as an excuse to not really do anything with myself or my life.

When you give away your power, it's awfully difficult to gain it back. It's a very odd place to find yourself, when you realize that you gave up choices and control of yourself and your life simply because you had no idea how to make necessary decisions or because you had no idea how certain choices could or would affect your life.

The impact of my past actions or inactions has finally hit me in a way that I can no longer ignore. While I refuse to beat myself up for my past and refuse to live in said past, I do have to take responsibility and acknowledge that I certainly have had more to do with how things have turned out than I thought.

What a sobering thought. That I had more control than I believed at the time. And I'm now having to come to terms with the fact that I really did live in a naïve fashion. I'm all for positive thinking and for believing things will turn out for the best, but there's absolutely no reason - or excuse - to live like an ostrich with her head in the sand.

The most dangerous part of living as if in a vacuum is that while you're busy being oblivious and naïve, life is simply going along at warp speed and if you aren't careful, it goes in the wrong direction.

It takes a strong person to pull the plug on the vacuum and start navigating your own life. Some mistakes can never be corrected, while others are extremely difficult to change once they've begun to snowball. I am definitely stronger than I ever thought possible, but I am learning as I go... and I know that I am still not as strong as I need to be.

But at least the vacuum is no longer running, I'm no longer trapped inside. It's much better to be the one pushing the vacuum than simply riding inside.

Friday, July 26, 2013

A Precious Gift

Yesterday, my children and I attended a function for their school that they had attended before the May 20th tornado. The school is no longer there and they are in the process of rebuilding it.

A large local church hosted both schools that were demolished for this event. The children were all given a free copy of their school yearbook, new packages of school portraits, a handmade quilt or blanket and a teddy bear.

You see, those who brought this event about, realized the importance of closure and of trying to maintain a sense of normalcy in the wake of a disaster. The children were elated to see some of their friends again and to see their teachers, principal and other faculty members from their school.

For all of us, this event brought a sense of healing and a bit of closure to the day when our lives changed forever. There was laughter, relief, tears of joy, tears of pain for those lost and of course, the overwhelming sense of thankfulness that we were all able to attend this event and that we were all healing.

When my 9 year old daughter broke down into tears at one point, while signing a lost student's yearbook that was going to be given to the child's parents, I found myself on the edge of totally losing my composure. I found myself crying with her. And although for a moment I was concerned about "losing it" in public, I realized that no one there was going to judge my daughter or myself for showing those emotions - they all felt the same thing.

Which leads me to the point I was at when the children and I stopped to visit with some friends after we left the event. We found ourselves watching our children play and discussing our thoughts and emotions in the aftermath of the tornado. Each of us felt that we were all blessed to have come through the tornado safely, even though we lost our possessions.

"Lucky" isn't a word that comes even close to describing the emotions we feel. We were blessed, with the gift of safety and the gift of another day, another chance.

When the worst happens, we often wonder why we were spared when others weren't, we can feel guilty for surviving or we question why the event even happened at all. The truth is, there are simply no good answers for those questions, there are no explanations to assuage our guilt for feeling "lucky."

The conclusion that I've reached is that sometimes there are no good reasons for why things happen or why they happen to certain people. I have just realized that each and every day of our lives is a precious gift, something to be thankful for and that each day is a new beginning. Today is a gift that is too precious to waste, yesterday is another stepping stone in our past path.

This morning, I am thankful that my children and I are alive and safe. I recognize this day as another gift that's been given. What do you have to be thankful for today?


Tuesday, July 23, 2013

To New Beginnings....

   There's a time and a place for everything, even if we don't always know the reason. And the simple fact is, we may never know the reason why things happen the way do.

    After many years of struggling with the same problems over and over, fighting the same battles over and over, a recent natural disaster that ripped through my hometown forced me to take a long, hard look at myself and realize that while the tornado might have ruined "life as I know it," there was actually a blessing in disguise.

     In the wake of the trauma to our lives, my children and I are now starting over. For all of us, this is going to be a good thing. Waking up one day to realize that life is precious and short can be the wake-up call that one needs to attempt to change the things that previously felt unmanageable or uncontrollable.

    There has been a lot of chaos and unnecessary drama in my life the last few years. Realizing that most of it came from choices I made has been a bitter pill to swallow. But, knowing that I have made some very wrong choices over the years and knowing that while I can't change the past, I can take things one step at a time in the right direction now.

   To me, that is the very meaning of hope. There is hope for a better life, for better choices and the knowing that I am the one who needs to make those choices to change the future for the better. Add a few dreams and goals, then get started. It's really as simple and complex as that.

   We are each in control of our own lives and the paths we take. There is no blame to be placed on others and their actions. How often it is, that we refuse to see that simply making one choice (or several) is what put us where we currently sit.

    So, with this knowledge in mind, I take things one step at a time and am on a path to a new beginning. Starting over isn't fun, it's a lot of work and takes a lot of mental and emotional energy. However, setting goals and keeping dreams going is how we ultimately find that place of peace within ourselves and find the life we always wanted.

   So, what's stopping you from making a few different choices and making a new beginning?

I’m a Terrible Blogger!

## These materials data were left in the entry by mistake
┌──
(1)
Computed powder diffractogram of ZrGa6Fe5Co for Cu Kα, 1.54184 Å, from a GGA-PBE-relaxed structure.

Principal peaks in the range 10° ≤ 2θ ≤ 80°, in order of falling intensity:
- 2θ 47.04, I 100, hkl 2 2 2
- 2θ 42.59, I 97, hkl 1 3 2
- 2θ 41.43, I 92, hkl 2 0 2
- 2θ 42.04, I 82, hkl 1 2 3
- 2θ 41.87, I 76, hkl 2 2 0
- 2θ 41.66, I 64, hkl 0 0 4
- 2θ 43.40, I 48, hkl 0 4 0
- 2θ 36.92, I 43, hkl 1 3 0
- 2θ 48.43, I 43, hkl 0 4 2
- 2θ 75.89, I 33, hkl 2 0 6
- 2θ 47.26, I 31, hkl 0 2 4
- 2θ 29.68, I 28, hkl 0 2 2

Cell and atoms:
abc: 5.043 8.340 8.671
angles: 90.00 90.00 90.00
Space group Imm2 (No. 44)
Asymmetric unit:
Zr (0.000, 0.000, 0.000) x2
Ga (0.000, 0.295, 0.502) x4
Ga (0.248, 0.246, 0.752) x8
Fe (0.000, 0.000, 0.363) x2
Fe (0.000, 0.363, 0.002) x4
Fe (0.000, 0.500, 0.284) x2
Fe (0.000, 0.500, 0.728) x2
Co (0.000, 0.000, 0.635) x2

(2)
Computed powder diffractogram of ZrGa6FeCo5 for Cu Kα, 1.54184 Å, from a GGA-PBE-relaxed structure.

Principal peaks in the range 10° ≤ 2θ ≤ 80°, in order of falling intensity:
- 2θ 47.52, I 100, hkl 2 2 2
- 2θ 41.51, I 75, hkl 2 0 2
- 2θ 42.66, I 70, hkl 1 2 3
- 2θ 43.64, I 70, hkl 1 3 2
- 2θ 42.31, I 55, hkl 2 2 0
- 2θ 41.98, I 54, hkl 0 0 4
- 2θ 45.09, I 43, hkl 0 4 0
- 2θ 38.01, I 33, hkl 1 3 0
- 2θ 47.94, I 29, hkl 0 2 4
- 2θ 36.01, I 27, hkl 1 0 3
- 2θ 76.35, I 26, hkl 2 0 6
- 2θ 35.61, I 22, hkl 2 0 0

Cell and atoms:
abc: 5.043 8.043 8.609
angles: 90.00 90.00 90.00
Space group Imm2 (No. 44)
Asymmetric unit:
Zr (0.000, 0.000, 0.000) x2
Ga (0.000, 0.285, 0.498) x4
Ga (0.250, 0.248, 0.748) x8
Fe (0.000, 0.500, 0.717) x2
Co (0.000, 0.000, 0.353) x2
Co (0.000, 0.000, 0.644) x2
Co (0.000, 0.349, 0.996) x4
Co (0.000, 0.500, 0.282) x2

(3)
Computed powder diffractogram of Fe3Co3Ge2 for Cu Kα, 1.54184 Å, from a GGA-PBE-relaxed structure.

Principal peaks in the range 10° ≤ 2θ ≤ 80°, in order of falling intensity:
- 2θ 44.81, I 100, hkl 1 1 0
- 2θ 65.23, I 15, hkl 2 0 8
- 2θ 40.98, I 1, hkl 0 0 9
- 2θ 62.33, I 1, hkl 1 1 9
- 2θ 26.99, I 1, hkl 0 0 6
- 2θ 31.27, I 1, hkl 1 0 4
- 2θ 53.09, I 1, hkl 1 0 10

Cell and atoms:
abc: 4.0449 4.0449 19.8239
angles: 90.00 90.00 120.00
Space group R3m (No. 160, hexagonal axes)
Asymmetric unit:
Fe (0.0000, 0.0000, 0.0000) x3
Fe (0.0000, 0.0000, 0.2447) x3
Fe (0.0000, 0.0000, 0.4956) x3
Co (0.0000, 0.0000, 0.3663) x3
Co (0.0000, 0.0000, 0.7508) x3
Co (0.0000, 0.0000, 0.8780) x3
Ge (0.0000, 0.0000, 0.1217) x3
Ge (0.0000, 0.0000, 0.6247) x3

----------

[1]
# KNa8Ga4
Theoretical X-ray diffraction stick pattern, Cu Kα (weighted mean of Kα1 and Kα2). Input: the GGA-PBE geometry in Alexandria.
Peak positions follow from Bragg's law for the DFT cell and can differ from measured ones.

The 8 most intense peaks (2θ from 15° to 90°), low angle first:
d/Å	2theta	Rel. int.
5.604	15.81	100.0
3.963	22.44	37.4
2.802	31.94	72.8
2.749	32.58	28.2
2.605	34.43	82.7
2.506	35.83	54.8
2.362	38.10	69.8
1.908	47.67	36.0

Atomic structure:
└──

 Actually, I pretty much just let life and my depression take over me for awhile. So I stopped writing.  What a shame it is that the times w...